What to do >
Next, copy everything further below without additions.

Excerpt >
____________
Calculated PXRD pattern of Tb5PmNdHo2 for λ = 1.5418 Å (Cu Kα), from the PBE geometry in Alexandria.
Lines closer than 0.1° are merged.

Peak list (12 most intense, 2θ from 5° to 70°, sorted by position)
d 3.171, I 186; d 2.965, I 397; d 2.816, I 428; d 2.775, I 1000; d 2.733, I 87; d 2.656, I 116; d 2.106, I 119; d 1.932, I 92; d 1.790, I 114; d 1.618, I 217; d 1.551, I 146; d 1.511, I 131

Crystal structure
Cell: 10.356 10.356 10.626 Å, 90.00 90.00 148.44°
Positions (direct):
Tb 0.017 0.983 0.500
Tb 0.282 0.718 0.784
Tb 0.298 0.702 0.182
Tb 0.391 0.609 0.498
Tb 0.478 0.522 0.211
Tb 0.522 0.478 0.711
Tb 0.609 0.391 0.998
Tb 0.702 0.298 0.682
Tb 0.718 0.282 0.284
Tb 0.983 0.017 0.000
Pm 0.201 0.799 0.485
Pm 0.799 0.201 0.985
Nd 0.416 0.584 0.925
Nd 0.584 0.416 0.425
Ho 0.110 0.890 0.209
Ho 0.114 0.886 0.795
Ho 0.886 0.114 0.295
Ho 0.890 0.110 0.709
____________

Reply >
Calculated PXRD pattern of Tb5PmNdHo2 for λ = 1.5418 Å (Cu Kα), from the PBE geometry in Alexandria.
Lines closer than 0.1° are merged.

Peak list (12 most intense, 2θ from 5° to 70°, sorted by position)
d 3.171, I 186; d 2.965, I 397; d 2.816, I 428; d 2.775, I 1000; d 2.733, I 87; d 2.656, I 116; d 2.106, I 119; d 1.932, I 92; d 1.790, I 114; d 1.618, I 217; d 1.551, I 146; d 1.511, I 131

Crystal structure
Cell: 10.356 10.356 10.626 Å, 90.00 90.00 148.44°
Positions (direct):
Tb 0.017 0.983 0.500
Tb 0.282 0.718 0.784
Tb 0.298 0.702 0.182
Tb 0.391 0.609 0.498
Tb 0.478 0.522 0.211
Tb 0.522 0.478 0.711
Tb 0.609 0.391 0.998
Tb 0.702 0.298 0.682
Tb 0.718 0.282 0.284
Tb 0.983 0.017 0.000
Pm 0.201 0.799 0.485
Pm 0.799 0.201 0.985
Nd 0.416 0.584 0.925
Nd 0.584 0.416 0.425
Ho 0.110 0.890 0.209
Ho 0.114 0.886 0.795
Ho 0.886 0.114 0.295
Ho 0.890 0.110 0.709